-- Listing --
********
Below is one molecule with the formula CH4N4O in a non-equilibrium geometry, with properties calculated with ωB97M-V/def2-TZVPD.

XYZ file:
```
10
CH4N4O ωB97M-V/def2-TZVPD
N 0.23763 0.78361 -0.87411
O -0.37117 3.08966 -0.68349
N -0.73330 2.40522 -1.88284
H -0.79854 -1.11471 -0.04768
C 0.20605 -0.59410 -0.37729
H 0.85322 -0.34132 0.52379
N 0.25579 2.18273 0.19940
N -0.49774 1.22084 -1.83422
H 0.67298 -1.15492 -1.07401
H -0.46777 1.99963 1.07220
```

Properties
LUMO energy: 0.65 eV
multiplicity: 1
strongest force on any atom: 5.34 eV Å⁻¹
frontier orbital gap: 9.624 eV
HOMO level: -8.97 eV
energy relative to the best compared isomer or geometry (same formula, charge and spin): 5.204 eV

Below is one molecule with the formula CH4N4S in a non-equilibrium geometry, with properties calculated with ωB97M-V/def2-TZVPD.

XYZ file:
```
10
CH4N4S ωB97M-V/def2-TZVPD
N 1.64278 -0.90588 -0.42567
N 0.31723 -0.78314 -0.60364
N 2.13888 0.93973 0.84684
H -1.78947 1.29507 0.88430
H -1.79076 -0.45766 0.50376
N 2.23730 -0.17219 0.54027
C -1.79521 0.54701 0.09718
H 1.95205 -1.87627 -0.42976
H -2.65249 0.69348 -0.55084
S -0.26032 0.71985 -0.86243
```

Properties
LUMO energy (spin up / spin down): -0.35 / 0.26 eV
multiplicity: 1
strongest force on any atom: 3.38 eV Å⁻¹
frontier orbital gap (spin up / spin down): 7.775 / 8.282 eV
HOMO level (spin up / spin down): -8.12 / -8.03 eV
energy relative to the best compared isomer or geometry (same formula, charge and spin): 3.349 eV

Below is a 2-piece molecular cluster, CH4N5 overall in a non-equilibrium geometry, with properties calculated with ωB97M-V/def2-TZVPD.

XYZ file:
```
10
CH4N5 ωB97M-V/def2-TZVPD
N 1.49308 0.34980 -2.41150
H -0.75507 0.92539 2.38563
N 0.45042 0.19695 -1.97494
H -1.29189 1.17246 0.75299
H -1.37639 -0.45528 -1.67972
H 1.52432 -1.93521 1.00204
N -0.55894 0.19064 -1.38726
C 0.13454 -0.20036 0.99008
N 0.92590 -1.06118 1.01567
N -0.54599 0.81678 1.30701
```

Properties
LUMO energy: -4.57 eV
net charge: +1
multiplicity: 1
strongest force on any atom: 7.94 eV Å⁻¹
frontier orbital gap: 9.897 eV
HOMO level: -14.47 eV
energy relative to the best compared isomer or geometry (same formula, charge and spin): 1.907 eV

Below is an isolated ion of composition CH4N7O4 and charge +1 in a non-equilibrium geometry, with properties calculated with ωB97M-V/def2-TZVPD.

XYZ file:
```
16
CH4N7O4 ωB97M-V/def2-TZVPD
N -2.43754 1.66649 0.08021
N -1.16130 1.81501 -0.02698
N 2.06009 -0.75780 -0.44406
N 2.57821 -1.77314 0.04420
H 3.10018 -1.77776 0.84867
N 1.02983 1.44405 -0.02914
N -1.30766 -1.29623 -0.01269
H -2.99310 2.33822 -0.31184
O 2.11392 0.41784 0.15315
H -2.95808 0.78686 0.35816
N -0.23429 -0.44224 -0.12729
O -2.32850 -0.76502 -0.20954
H 2.42715 -2.65353 -0.50948
O -1.08921 -2.46201 0.20280
C -0.22943 0.88334 -0.03587
O 1.42974 2.57591 0.01970
```

Properties
LUMO energy (spin up / spin down): -5.91 / -5.90 eV
net charge: +1
multiplicity: 1
strongest force on any atom: 5.04 eV Å⁻¹
frontier orbital gap (spin up / spin down): 7.713 / 7.258 eV
HOMO level (spin up / spin down): -13.62 / -13.16 eV
energy relative to the best compared isomer or geometry (same formula, charge and spin): 2.038 eV

Below is an isolated ion of composition CH4NO and charge +1 in a non-equilibrium geometry, with properties calculated with ωB97M-V/def2-TZVPD.

XYZ file:
```
7
CH4NO ωB97M-V/def2-TZVPD
H 1.97698 -0.45958 0.51606
N 0.97760 -0.52002 0.34125
H -1.39762 -0.19469 -0.38603
O 0.43659 0.62561 0.09840
H 0.30384 -1.23164 0.42258
H -1.21201 1.73014 -0.14495
C -0.72162 0.79528 -0.24966
```

Properties
LUMO energy: -6.47 eV
net charge: +1
multiplicity: 1
strongest force on any atom: 5.33 eV Å⁻¹
frontier orbital gap: 10.111 eV
HOMO level: -16.58 eV
energy relative to the best compared isomer or geometry (same formula, charge and spin): 3.658 eV

Below is CH4NO2S2 as an isolated structure, with properties calculated with ωB97M-V/def2-TZVPD.

XYZ file:
```
10
CH4NO2S2 ωB97M-V/def2-TZVPD
H 0.59536 -2.94371 1.72375
********
-- Activity --
Could you filter the rows further above: keep the lines with the word "multiplicity"?
-- Reply --
multiplicity: 1
multiplicity: 1
multiplicity: 1
multiplicity: 1
multiplicity: 1